Mobile Clinics Can Help Reduce Health Inequity
Grassroots organizers in Boston, primary care innovators in Chicago and even an academic medical center in Philadelphia responded to the COVID pandemic by bringing mobile vaccine clinics directly to the neighborhoods most impacted by the virus. As a result, 85 percent of those vaccinated by Philadelphia’s effort were Black, while 81 percent of those vaccinated by Boston’s effort identified as persons of color. COVID mobile vaccine clinics work.
As the number of COVID cases falls in the United States, the frameworks used by mobile vaccine clinics should not be abandoned. Instead, these frameworks should be adopted and applied to health conditions that disproportionately impact communities of color. They provide health care delivery one path forward to achieving health equity.
One framework includes our own. Part of our team operates GOTVax, a grassroots organization in Boston that assembles providers, students, electoral campaign staff and community organizations to upstand mobile vaccine clinics in communities of color. Our efforts leverage trusted community partners and get-out-the-vote tactics: wide-scale text messaging, phone banking, and door-knocking. So far, we have delivered over 6,000 vaccines to communities of color.
What would this framework look like with a health condition like hypertension, where 11 million people are undiagnosed and the burden of disease is disproportionately placed on patients of color?
First, the effort must include a wide-scale education campaign. Black people make up 13 percent of the U.S. population, but only about 5 percent of physicians are Black. This places many disadvantaged communities without trusted messengers in their vicinity to address health information deficits. This was especially a challenge with the COVID vaccines.
When the vaccines were first introduced in December, studies demonstrated that racial/ethnic concordance led Black patients to seek more information about the vaccine. However, historical instances of systemic racism, such as the Flexner Report, led to a paucity of Black physicians and left many Black community members without reliable resources to find information about the vaccine. Therefore, one of us created We Got Us, a nonprofit organization that connects Black community members and organizations with trusted Black health care personnel.
We Got Us holds empowerment sessions that engage community members in conversations about medical racism in Black communities, the vaccine development process, and specifics about the COVID-19 vaccines. Together, we increase access to the vaccine through a two-pronged approach by addressing both the informational and physical barriers to getting vaccinated.
Doing this work for hypertension could mean that discussions revolve around medical racism in communities of color, the drug development process for common hypertensive drugs, and specifics about the disease. Research shows that individuals with higher general trust in the medical system are more likely to report better adherence to hypertensive medications. Further, the signs and symptoms of hypertension are often misunderstood. Deploying community-specific education programs will be critical to ensuring health equity.
Second, the effort should deploy a tactical canvassing approach to ensure that identified community members are being targeted for education and clinic day purposes. At GOTVax, we conduct three rounds of outreach: text messaging, phone banking and door-canvassing. To reach community members untouched by our health care system—typically Black and Latinx folks—we work with public housing managers, unions and community-based organizations. Through them and our on-the-ground door knocking volunteers, we are able to develop outreach lists that are used to sign people up for the COVID-19 vaccine.
Unrelated to this entry: calculated molecules
=====
Here is C4H7IN as an isolated structure from OMol25. Energies are from ωB97M-V/def2-TZVPD.

Geometry as XYZ:
```
13
Properties=species:S:1:pos:R:3
C -0.3993 0.4856 -1.3643
C 0.6188 -0.6365 -0.8817
C 0.3874 0.5959 1.2406
C -0.8580 0.1238 0.5283
N 0.3422 -0.7034 0.5051
I -2.6833 -0.2814 1.4554
H 0.0038 1.4973 -1.4736
H -1.3992 0.2028 -1.7626
H 0.4100 -1.5905 -1.4185
H 1.7281 -0.3728 -1.0636
H 0.9760 1.4099 0.8787
H 0.3041 0.6899 2.2351
H 0.5692 -1.4206 1.1212
```

Summary:
- Net charge: +1
- ΔE to the lowest compared entry with this formula, charge and spin: 91.1 kcal/mol
- E_HOMO: -13.804 eV
- Strongest force on any atom: 5.485 eV/Å
- Frontier orbital gap: 9.741 eV


Here is C4H7INO as an isolated structure from OMol25. Energies are from ωB97M-V/def2-TZVPD.

Geometry as XYZ:
```
14
Properties=species:S:1:pos:R:3
C 0.9767 -0.8761 0.6354
C -0.7336 -1.5597 -0.5949
C 0.9898 1.5011 0.0200
C -0.7182 -0.2077 -0.7072
N 0.3562 0.1906 -0.0497
O 0.2299 -2.0419 0.1621
I -2.9561 0.1400 0.0837
H 2.0402 -0.8720 0.3883
H 0.7720 -1.0170 1.7747
H -1.3712 -2.1938 -0.9883
H 1.5375 1.3707 0.9763
H 0.1748 2.3004 0.0236
H 1.6836 1.7681 -0.8408
H -2.9813 1.4973 -0.8833
```

Summary:
- Net charge: +1
- ΔE to the lowest compared entry with this formula, charge and spin: 88.1 kcal/mol
- E_HOMO (alpha / beta): -12.788 / -12.788 eV
- Strongest force on any atom: 4.795 eV/Å
- Frontier orbital gap (alpha / beta): 7.088 / 7.087 eV


Here is a 2-piece molecular cluster, C4H7IO overall from OMol25. Energies are from ωB97M-V/def2-TZVPD.

Geometry as XYZ:
```
13
Properties=species:S:1:pos:R:3
C -0.7510 -0.1463 1.3091
C -1.4346 0.1663 -0.1191
C -0.2002 -0.5082 0.0185
C 1.4743 0.8798 -0.7221
O 0.1551 -1.7332 -0.3640
I 3.2980 0.0871 -0.0536
H -0.2891 0.7765 1.6723
H -1.0560 -0.9257 2.0842
H -2.2656 -0.4247 -0.2522
H -1.4812 1.1921 -0.5843
H 1.2963 1.7181 -0.0440
H 1.5562 0.9623 -1.8429
H -0.3024 -2.0442 -1.1018
```

Summary:
- ΔE to the lowest compared entry with this formula, charge and spin: 93.5 kcal/mol
- E_HOMO: -7.911 eV
- Strongest force on any atom: 4.742 eV/Å
- Frontier orbital gap: 8.477 eV


Here is a 2-piece molecular cluster, C4H7IO2 overall from OMol25. Energies are from ωB97M-V/def2-TZVPD.

Geometry as XYZ:
```
14
Properties=species:S:1:pos:R:3
C 1.4871 -1.1040 -1.2585
C -1.5310 0.3949 -0.0691
C 0.9119 0.7522 0.3483
C -0.3904 0.4131 0.9555
O 1.7320 -2.1747 -0.8601
O -0.3381 -0.7645 1.7265
I 1.4043 -0.4887 -3.2919
H -1.6366 1.3741 -0.5286
H -1.3252 -0.3406 -0.8463
H -2.4597 0.1352 0.4294
H 0.9574 1.5217 -0.3992
H 1.8030 0.5594 0.9209
H -0.6111 1.2051 1.6966
H -0.0035 -1.4832 1.1766
```

Summary:
- ΔE to the lowest compared entry with this formula, charge and spin: 56.2 kcal/mol
- E_HOMO (alpha / beta): -8.511 / -8.505 eV
- Strongest force on any atom: 2.445 eV/Å
- Frontier orbital gap (alpha / beta): 7.290 / 7.979 eV


Here is C4H7IOS as an isolated structure from OMol25. Energies are from ωB97M-V/def2-TZVPD.

Geometry as XYZ:
```
14
Properties=species:S:1:pos:R:3
=====
End of the calculated molecules
Operationalizing this strategy for hypertension would be similar to our approach. Outreach workers would text, call and have face-to-face conversations with individuals. If the recipient has not been screened for hypertension, they would be made aware of an upcoming hypertension clinic. If the recipient has hypertension but adds that their condition has not been consistently managed, they would also be invited to the clinic. Those with a diagnosis and adequate treatment would require no further follow-up.
Similar to the GOTVax approach, this outreach operation should include multilingual, multiracial and multiethnic workers. Research shows that Black people are more likely to receive preventive services when seeing a Black doctor, as opposed to a non-Black doctor. The same is likely true for other communities of color.
The final piece of the framework includes hypertargeted clinics. After education and outreach, we set up clinics in communities with poor access to vaccination centers. Hypertension clinics could take place in gymnasiums, churches, public housing units and other community spaces within disadvantaged communities. They could also be aided by local community health vans that already operate within these neighborhoods, such as the Family Van in Massachusetts.
Individuals would be signed up for an appointment during outreach and the appointment could include hypertension screening, medication reconciliation, signing up eligible patients for health insurance, and connecting patients with a primary care provider.
=====
<P>
# C3H5NO3

The molecule C3H5NO3 (ωB97M-V with the def2-TZVPD basis set, the Open Molecules 2025 dataset).

Output
**Gap between HOMO and LUMO**: 10.981 eV
**LUMO level**: 0.8203 eV
**M**: 103.08 Da
**E_HOMO**: -0.37338 Ha
**2S+1**: 1

Cartesian coordinates (Å):
1 O -1.1292 -0.9539 0.2481
2 O -0.5936 1.2224 0.5104
3 O 1.0689 -1.8255 0.4211
4 N -0.0660 0.0219 -1.3619
5 C -1.1068 0.2874 -0.4076
6 C 0.4155 0.4625 1.1713
7 C 0.3122 -0.9110 0.5109
8 H 0.1356 0.2803 2.2138
9 H -2.0712 0.6352 -0.7930
10 H -0.1888 -0.8195 -1.9038
11 H 0.4936 0.7591 -1.7416
12 H 1.3798 0.9693 1.1133

Here is what Mulliken gives for the atomic charges, in e: O -0.45; O -0.42; O -0.54; N -0.45; C 0.26; C -0.31; C 0.61; H 0.23; H 0.36; H 0.22; H 0.19; H 0.29

***

<Q>
# C3H5NO3

The molecule C3H5NO3 (ωB97M-V with the def2-TZVPD basis set, the Open Molecules 2025 dataset).

Output
**Gap between HOMO and LUMO**: 10.921 eV
**LUMO level**: 0.5889 eV
**M**: 103.08 Da
**E_HOMO**: -0.37970 Ha
**2S+1**: 1

Cartesian coordinates (Å):
1 O -1.0033 -1.0269 -1.4964
2 O 0.9911 -0.8372 -2.5152
3 O 1.4418 0.8226 2.0437
4 N 0.6302 0.1043 -0.4252
5 C 0.3204 -0.5661 -1.5559
6 C 0.2622 0.6968 1.8618
7 C -0.4191 0.4071 0.5598
8 H -0.4588 0.8308 2.7103
9 H -1.1342 -0.3965 0.7798
10 H -1.1408 -1.7943 -2.0559
11 H 1.5308 0.4884 -0.1858
12 H -1.0202 1.2710 0.2790

Here is what Mulliken gives for the atomic charges, in e: O -0.49; O -0.57; O -0.47; N -0.10; C 0.55; C 0.05; C -0.38; H 0.32; H 0.29; H 0.32; H 0.22; H 0.26

***

<Q> is preferred energetically. Next in line: 0.0438 hartree higher.

***

<P>
# C3H5NO3

The molecule C3H5NO3 (ωB97M-V with the def2-TZVPD basis set, the Open Molecules 2025 dataset).

Output
**Gap between HOMO and LUMO**: 11.035 eV
**LUMO level**: 0.2965 eV
**M**: 103.08 Da
**E_HOMO**: -0.39462 Ha
**2S+1**: 1

Cartesian coordinates (Å):
1 O -1.1926 1.2956 -0.0543
2 O -2.7151 -0.4122 -0.1938
3 O 3.1839 0.0208 -0.1641
4 N 0.7608 0.0363 0.5770
5 C 1.9050 -0.0631 -0.3377
6 C -1.5855 -0.0647 -0.1870
7 C -0.4668 -0.8228 0.1797
8 H 1.4674 -0.5000 -1.2059
9 H -0.2441 -1.4519 -0.5708
10 H -0.1493 1.4455 0.3786
11 H 0.9640 0.1212 1.5300
12 H -0.6898 -1.3985 1.1963

Here is what Mulliken gives for the atomic charges, in e: O -0.59; O -0.49; O -0.52; N -0.40; C 0.15; C 0.56; C -0.41; H 0.30; H 0.37; H 0.51; H 0.26; H 0.28

***

<Q>
# C3H5NO3

The molecule C3H5NO3 (ωB97M-V with the def2-TZVPD basis set, the Open Molecules 2025 dataset).

Output
**Gap between HOMO and LUMO**: 10.309 eV
**LUMO level**: 0.8372 eV
**M**: 103.08 Da
**E_HOMO**: -0.34807 Ha
**2S+1**: 1

Cartesian coordinates (Å):
1 O -0.8162 1.0970 -0.2915
2 O 1.5503 1.8258 -0.5541
3 O -1.4512 -0.9293 -1.1805
4 N 0.7689 -0.5008 -0.1105
5 C -0.1840 -1.0084 0.8928
6 C -0.7127 -0.2612 -0.2602
7 C 0.6311 1.5162 0.1374
8 H 1.6774 -0.7383 -0.4765
9 H -0.3040 -2.0842 0.8912
10 H 0.4198 2.0409 1.0799
11 H -0.1185 -0.5457 1.8708
12 H -1.4609 -0.4120 -1.9987
=====
Transitioning from a vaccine-focused campaign to campaigns focused on other health conditions will require input from various stakeholders, from those we work with (electoral campaign staff, community organizations, etc.) to new partners such as physician subspecialists. They will also need to be well-resourced and should consider partnering with a community health center or academic medical center committed to communities of color.
Unrelated to this entry: data records:
- - -
Arrangement A

Density functional theory data (ωB97M-V/def2-TZVPD) for C2H4BrFO in the gas phase.

**SMILES**: OC[C@H](F)Br
**Gap between HOMO and LUMO**: 10.720 eV

Each line ends with the natural charge from an NBO analysis.
Geometry (Å):
O  1.21639  -0.66111  0.84446  -0.708
C  0.67742  0.37757  0.17901  -0.077
C  -0.72774  -0.18147  -0.51480  0.129
F  -0.35897  -0.62676  -1.75779  -0.351
Br  -2.06746  1.22459  -0.75393  -0.029
H  0.79613  -0.90986  1.65966  0.480
H  0.31902  1.08943  0.89149  0.170
H  1.24895  0.68939  -0.73018  0.207
H  -1.10375  -1.00178  0.18208  0.180


Arrangement B

Density functional theory data (ωB97M-V/def2-TZVPD) for 2 unconnected molecules or ions with the total composition C2H4BrFO.

**Gap between HOMO and LUMO**: 10.244 eV

Each line ends with the natural charge from an NBO analysis.
Geometry (Å):
C  -0.93523  -0.48075  0.46743  -0.694
C  0.12555  0.33773  -0.20299  0.584
O  0.61624  -0.22619  -1.20415  -0.619
F  1.83091  -0.07919  0.93632  -0.716
Br  0.37644  2.20420  -0.04006  0.136
H  -1.27158  -0.06829  1.49555  0.265
H  -1.66724  -0.46086  -0.35165  0.242
H  -0.45635  -1.42819  0.51731  0.271
H  1.38126  0.20153  -1.61776  0.531


Here is how they stack up, most stable first: arrangement A, arrangement B.


Arrangement A

Density functional theory data (ωB97M-V/def2-TZVPD) for CH2FNO in the gas phase.

**SMILES**: O=CNF
**Gap between HOMO and LUMO**: 11.662 eV

Each line ends with the natural charge from an NBO analysis.
Geometry (Å):
O  -0.15732  1.64695  0.20344  -0.480
C  -0.46011  0.52044  0.10785  0.514
N  0.25611  -0.84859  0.16565  -0.227
F  1.60167  -0.61187  0.34454  -0.252
H  -1.54060  0.26327  0.01150  0.100
H  0.30024  -0.97021  -0.83298  0.345


Arrangement B

Density functional theory data (ωB97M-V/def2-TZVPD) for 2 unconnected molecules or ions with the total composition CH2FNO.

**Gap between HOMO and LUMO (alpha / beta)**: 9.592 / 10.472 eV

Each line ends with the natural charge from an NBO analysis.
Geometry (Å):
C  0.33813  -0.20643  0.44855  0.706
N  0.47549  1.07963  0.05017  -0.343
O  0.02994  0.63275  1.39023  -0.348
F  1.36737  -1.03323  0.61921  -0.325
H  -1.20942  -1.96879  -0.72417  -0.027
H  1.45250  1.20627  0.07378  0.337


Arrangement C

Density functional theory data (ωB97M-V/def2-TZVPD) for 2 unconnected molecules or ions with the total composition CH2FNO.

**SMILES**: N=C=O.F
**Gap between HOMO and LUMO**: 12.221 eV

Each line ends with the natural charge from an NBO analysis.
Geometry (Å):
N  -0.46312  0.77054  -0.13531  -0.805
C  -1.17219  -0.17471  -0.05725  0.853
O  -1.60785  -1.21129  -0.02735  -0.470
H  -0.05232  1.25996  0.63133  0.432
F  2.09777  -0.25704  -0.17543  -0.565
H  1.19771  -0.38747  -0.23599  0.555


Here is how they stack up, most stable first: arrangement C, arrangement A, arrangement B.


Arrangement A

Density functional theory data (ωB97M-V/def2-TZVPD) for C9H15NO2S in the gas phase.

**Gap between HOMO and LUMO**: 8.182 eV
- - -
The entry goes on:
There will likely be much iteration of these efforts, given their infancy and novelty. We at GOTVax and We Got Us have learned from our experience and applied lessons appropriately. As a result, we have noticed the impact that intentional, hypertargeted mobile clinics and health education have on the populations most impacted by COVID. Upstanding clinics for other medical conditions will likely have a similar impact and bring us one step closer to the health equity we deserve.